

mundane:[英 [mʌnˈdeɪn] 美 [mʌnˈden, ˈmʌnˌden] ]


mundane 基本解释


形容词世俗的; 平凡的; 宇宙的; 寻常的

mundane 反义词




mundane 网络解释

1. 世俗的:我这里并非说那些生活在贫困中的人就没有政治诉求,而是说他们更普通的、世俗的(mundane)一些涉及基本生存的物质需求,往往被不成比例地低估 ,被不予重视,被过于轻易地放到次要地位上了.

2. 世间的:在芬克看来,为了在基础这一问题上与他人交流,必须以一种新的方式使用世间的(mundane)语言,而这需要一个新的差异逻辑. [6](P144)尽管海德格尔对德里达的影响也像黑格尔和胡塞尔的影响那样经过了中介,但比较而言,他对德里达的作用较为直截了当,

3. 世間:布敦说:龙树在他所出家的那烂陀寺(Nalanda)犯了戒律,而被逐出寺门之后,即到处流浪{原文说他以神通力游戏于世间(mundane)与出世间(supermundane)之中.

4. mundane在线翻译

Misplaced records of crystals
********
A relaxed BeH2O2 crystal, computed with meta-GGA r2SCAN.

The total moment comes out at 0.00 μB per cell. The calculated total energy is -6.477 eV per atom. As for the formation energy: -1.838 eV/atom.

The space group is P2_12_12_1 (No. 19) and the conventional cell measures 4.465, 4.611 and 6.959 Å, with angles of 90.00, 90.00 and 90.00 degrees. The inequivalent atoms are Be at (0.041, 0.193, 0.127), H at (0.141, 0.087, 0.786), H at (0.226, 0.406, 0.577), O at (0.160, 0.897, 0.227) and O at (0.175, 0.610, 0.555).
********

4. 世俗:我对宗教不太了解,但至少知道中国人所谓的基督教并不是西方的真正的基督教,关键是因为东方缺乏西方先天的那种文化积淀:西方的基督教信奉精神与世俗(mundane)的分离,所以统治者只有对人世俗一面的统治,而人的精神是属于教皇的.

mundane 双语例句

1. If you don't use your imagination your life will remain mundane and unfulfilling.


2. Anonymous depressed before work, after the lectures covered the tired, after work and the hawkers have to bargain stop to the podium, he will lose these mundane world distractions, only the cadence of the time, rack their brains to speak, and only correct answer to intense The argument, in order to liven up the smile that only teachers spoke proudly Department of narcissism, and only when the students heard the emotional secretly applauded.


3. She appeared singularly uninterested in such mundane things as the score, … something called `Loser`s Lurgy`.


4. That being sees through things much clearer than ordinary beings that rely on mundane everyday sense perception.


5. Mundane people say that there is a Self, but there is no Self in the Buddha's teaching, contrary to the mundane view, and the Tathagata-garbha is not even mentioned'- this cultivation of non-Self is cognitive distortion.


6. There the message is undying love, eternal fidelity, and a degree of transcendence over mundane life.


7. Chris takes on an otherwise mundane assignment to refurnish a villa with unforeseen energy in order to prove his ambition; Giti buys a brown polka-dot dress, applies more make-up than usual—both of them painfully unaware that this is not going to work at all.


8. He is not irrational idiots, not like the negative and see through Mundane Life those.


9. Vereesa commented on various parts of his story, making even the most mundane accomplishments of the elder man seem wondrous and brave.


10. The reason of his converted to relgion, one is that resusciteiting his Hui-Race strain and firming his Hui-Race's self-identity, the other is that the spirit demanding of his self-salvation during to mundane press.


11. The effect is primarily expressed by four ways as follows:(1)The collapse of the gigantic Ottoman Empire established the border of contemporary national countries in the Middle East; (2)When the Arab Nationalism came into being as a whole ideology, the mundane nationalism made a great progress in non-Arabic countries such as Turkey, Afghanistan and Iran; (3)Inspired by the nationalistic spirit, the wind of modernized reform blew all over the Arabia Islan...


12. Besides the orthodox Taoist music and imperial and refined music for sacrifice, folk music is incorporated as well, blending the refined and the mundane elements and thus keeping the purest and abundant Taoist style.



13. And it is these rays of light that drives people away from the mundane affairs.



14. Less is more: often, it`s the simplest of touches that can transform the mundane into the extra-special.


15. The animals listed in this bestiary range from the mundane to the fantastic.


16. Her skills for demystifying complex concepts and explaining mundane subject matter using interesting and identifiable examples makes a huge difference to her students.



17. Empty your mind, So no dust can alight. Don`t let the mundane world defile your heart, abandon all hindrance of karma, save yourself from the ocean of misery of life. Embrace the fullness of shining stars of the skies of eons!



18. After years of tedious, grueling, and mundane training.


19. United States and everywhere, ever-so, a seemingly ordinary grass was full of vitality America; a seemingly mundane book was full of human wisdom is beauty; trees stand tall with straight, golden leaves turn fly down, pick up an outline so that the sun is a clear context, symmetrical beauty; tree Tiaopi Jin girls are so amazing the number of rubber band twist out of the U. S....... In short, life is not a lack of the United States, but the lack of discovery.


20. mundane在线翻译

20. Take the New Year resolution to spend more time with your family and bring back the joy of bonding to your mundane life.


mundane 词典解释

== Data records from another source follow ==
<<<
one.
# PBE Bi2Pb6S9, optimized geometry
# ρ   7.087 g/cm³
data_Bi2Pb6S9
_space_group_name_H-M_alt 'C m c m'
_space_group_IT_number 63
_space_group_name_Hall '-C 2c 2'
_cell_length_a 4.192
_cell_length_b 13.821
_cell_length_c 31.541
_cell_angle_alpha 90.00
_cell_angle_beta 90.00
_cell_angle_gamma 90.00
loop_
_atom_site_label
_atom_site_type_symbol
_atom_site_fract_x
_atom_site_fract_y
_atom_site_fract_z
Bi1 Bi 0.000 0.183 0.174
Pb1 Pb 0.000 0.000 0.000
Pb2 Pb 0.000 0.079 0.750
Pb3 Pb 0.000 0.271 0.558
Pb4 Pb 0.000 0.455 0.118
S1 S 0.000 0.091 0.087
S2 S 0.000 0.182 0.648
S3 S 0.000 0.280 0.250
S4 S 0.000 0.362 0.027
S5 S 0.000 0.443 0.695

---

two.
# PBE Bi2Pb6S9, optimized geometry
# ρ   7.021 g/cm³
data_Bi2Pb6S9
_space_group_name_H-M_alt 'C m c m'
_space_group_IT_number 63
_space_group_name_Hall '-C 2c 2'
_cell_length_a 4.149
_cell_length_b 13.809
_cell_length_c 32.198
_cell_angle_alpha 90.00
_cell_angle_beta 90.00
_cell_angle_gamma 90.00
loop_
_atom_site_label
_atom_site_type_symbol
_atom_site_fract_x
_atom_site_fract_y
_atom_site_fract_z
Bi1 Bi 0.000 0.043 0.116
Pb1 Pb 0.000 0.229 0.557
Pb2 Pb 0.000 0.317 0.175
Pb3 Pb 0.000 0.426 0.750
Pb4 Pb 0.000 0.500 0.000
S1 S 0.000 0.041 0.691
S2 S 0.000 0.138 0.029
S3 S 0.000 0.214 0.250
S4 S 0.000 0.328 0.638
S5 S 0.000 0.416 0.085

---

Which of them is most stable? Easy: two.

---

one.
# PBE Bi2Pb3S6, optimized geometry
# ρ   6.962 g/cm³
data_Bi2Pb3S6
_space_group_name_H-M_alt 'C m c m'
_space_group_IT_number 63
_space_group_name_Hall '-C 2c 2'
_cell_length_a 4.110
_cell_length_b 13.665
_cell_length_c 20.929
_cell_angle_alpha 90.00
_cell_angle_beta 90.00
_cell_angle_gamma 90.00
loop_
_atom_site_label
_atom_site_type_symbol
_atom_site_fract_x
_atom_site_fract_y
_atom_site_fract_z
Bi1 Bi 0.000 0.090 0.135
Pb1 Pb 0.000 0.163 0.750
Pb2 Pb 0.000 0.361 0.045
S1 S 0.000 0.000 0.000
S2 S 0.000 0.187 0.250
S3 S 0.000 0.279 0.594
S4 S 0.000 0.456 0.165

---

two.
# PBE Bi2Pb3S6, optimized geometry
# ρ   6.837 g/cm³
data_Bi2Pb3S6
_space_group_name_H-M_alt 'C 1 2/m 1'
_space_group_IT_number 12
_cell_length_a 13.773
_cell_length_b 4.129
_cell_length_c 21.066
_cell_angle_alpha 90.00
_cell_angle_beta 92.37
_cell_angle_gamma 90.00
loop_
_space_group_symop_operation_xyz
'x,y,z'
'-x,-y,-z'
'-x,y,-z'
'x,-y,z'
'x+1/2,y+1/2,z'
'-x+1/2,-y+1/2,-z'
'-x+1/2,y+1/2,-z'
'x+1/2,-y+1/2,z'
loop_
_atom_site_label
_atom_site_type_symbol
_atom_site_fract_x
_atom_site_fract_y
_atom_site_fract_z
Bi1 Bi 0.096 0.000 0.135
Bi2 Bi 0.139 0.500 0.550
Pb1 Pb 0.082 0.000 0.366
Pb2 Pb 0.135 0.500 0.954
Pb3 Pb 0.173 0.000 0.762
S1 S 0.000 0.000 0.000
S2 S 0.000 0.000 0.500
S3 S 0.035 0.500 0.836
S4 S 0.059 0.500 0.663
S5 S 0.185 0.000 0.250
S6 S 0.233 0.500 0.101
S7 S 0.235 0.500 0.415

---

Which of them is most stable? Easy: two.

---

one.
# PBE Bi2Te4Pb, optimized geometry
# ρ   7.527 g/cm³
data_Bi2Te4Pb
_space_group_name_H-M_alt 'R -3 m'
_space_group_IT_number 166
_space_group_name_Hall '-R 3 2"'
_cell_length_a 4.5143
>>>

1. 普通的;平凡的;单调的

Something that is mundane is very ordinary and not at all interesting or unusual.

e.g. Be willing to do even mundane tasks.


e.g. ...the mundane realities of life.


mundane 单语例句

1. Wood said that during the mundane task of editing copy, " she would sometimes surprise us with an astonishingly candid remark ".

2. The new code of conduct tries to convey the same principle in more mundane ways that suit the times.

┌──
VASP calculation (PBE) on a relaxed Na14Nb2In6Si9S3O48 crystal.

Cell lengths 18.480, 9.245, 22.788 Å; angles 89.96, 89.84, 119.98 degrees
Atoms (fractional coordinates):
Na  0.815  0.005  0.245
Na  0.689  0.371  0.245
Na  0.501  0.623  0.247
Na  0.314  0.623  0.745
Na  0.995  0.368  0.748
Na  0.187  0.007  0.744
Na  0.152  0.337  0.585
Na  0.656  0.343  0.588
Na  0.017  0.694  0.585
Na  0.515  0.687  0.584
Na  0.326  0.971  0.587
Na  0.832  0.971  0.588
Na  0.155  0.968  0.085
Na  0.656  0.964  0.081
Na  0.330  0.689  0.084
Na  0.828  0.687  0.084
Na  0.015  0.344  0.081
Na  0.518  0.347  0.080
Na  0.488  0.669  0.917
Na  0.981  0.654  0.912
Na  0.358  0.049  0.914
Na  0.854  0.050  0.914
Na  0.161  0.298  0.917
Na  0.664  0.292  0.921
Na  0.481  0.311  0.416
Na  0.986  0.302  0.421
Na  0.163  0.036  0.425
Na  0.663  0.023  0.420
Na  0.352  0.654  0.422
Na  0.857  0.666  0.416
Na  0.004  0.002  0.504
Na  0.502  0.993  0.503
Na  0.001  0.012  0.998
Na  0.504  0.007  0.996
Na  0.342  0.335  0.823
Na  0.836  0.328  0.828
Na  0.335  0.333  0.333
Na  0.842  0.350  0.324
Na  0.165  0.665  0.161
Na  0.667  0.666  0.165
Na  0.165  0.666  0.666
Na  0.668  0.669  0.664
Nb  0.998  0.997  0.650
Nb  0.496  0.990  0.647
Nb  0.995  0.002  0.146
Nb  0.507  0.015  0.145
Nb  0.157  0.644  0.314
Nb  0.661  0.681  0.810
In  0.002  0.999  0.348
In  0.502  0.998  0.345
In  0.999  0.009  0.842
In  0.503  0.006  0.847
In  0.336  0.332  0.684
In  0.835  0.337  0.683
In  0.334  0.321  0.180
In  0.837  0.341  0.184
In  0.340  0.336  0.991
In  0.836  0.328  0.986
In  0.336  0.343  0.489
In  0.839  0.341  0.494
In  0.162  0.654  0.019
In  0.662  0.664  0.018
In  0.162  0.659  0.520
In  0.663  0.672  0.521
In  0.661  0.662  0.308
In  0.160  0.659  0.808
Si  0.649  0.004  0.250
Si  0.854  0.706  0.253
Si  0.999  0.289  0.251
Si  0.494  0.287  0.252
Si  0.149  0.293  0.750
Si  0.996  0.704  0.753
Si  0.498  0.708  0.752
Si  0.353  0.001  0.753
Si  0.849  0.998  0.751
Si  0.480  0.329  0.582
Si  0.982  0.329  0.585
Si  0.185  0.039  0.583
Si  0.686  0.043  0.583
Si  0.332  0.630  0.584
Si  0.833  0.632  0.582
Si  0.481  0.634  0.086
Si  0.980  0.631  0.083
Si  0.333  0.030  0.082
Si  0.831  0.035  0.084
Si  0.188  0.330  0.085
Si  0.689  0.339  0.083
Si  0.019  0.367  0.916
Si  0.520  0.372  0.916
Si  0.666  0.966  0.917
Si  0.166  0.367  0.417
Si  0.017  0.666  0.418
Si  0.518  0.668  0.415
S  0.149  0.997  0.250
S  0.349  0.704  0.250
S  0.648  0.300  0.750
S  0.313  0.664  0.917
S  0.812  0.667  0.915
S  0.168  0.964  0.917
S  0.312  0.955  0.414
S  0.813  0.962  0.417
S  0.668  0.371  0.417
O  0.112  0.020  0.305
O  0.611  0.037  0.310
O  0.399  0.777  0.305
O  0.906  0.786  0.313
O  0.482  0.182  0.313
O  0.988  0.188  0.311
O  0.114  0.186  0.811
O  0.612  0.203  0.805
O  0.486  0.788  0.811
O  0.987  0.785  0.814
O  0.405  0.025  0.813
O  0.902  0.033  0.812
O  0.407  0.979  0.697
O  0.899  0.973  0.694
O  0.083  0.188  0.695
O  0.594  0.215  0.698
└──

3. But it's obvious a newspaper will die sooner rather than later, if it provides mundane content and refuses to embrace new communication technology.

4. Mundane offerings are to include yellow cotton curtains, pots and pans and metal lawn chairs.

5. Bridges in Suzhou are not just a mode of river crossing, but a mood enhancer for romanticizing the mundane.

6. Beneath its exaggerated surface is actually a fairly mundane tale of a young man finding himself in the big city.

7. The couple appointed sales agents to promote the products, freeing them from the mundane task of negotiating with the department stores and other retailers.

8. Escape the mundane tempo of everyday life and hang out in the uniquely groovy environment of Zeta Bar.

9. But those heady nights of European success often left a nasty hangover on the return to more mundane matters in the Premier League.

10. He encouraged the students to have a great heart and always stay creative even in mundane work.